== Given ==
********
[1]
This record from the Open Molecules 2025 dataset describes a cluster of 4 separate species, C2H15N2O3 in total in a non-equilibrium geometry. The level of theory is ωB97M-V with the def2-TZVPD basis set.

```
22
Properties=species:S:1:pos:R:3:nbo_charge:R:1
N 0.655 -0.196 0.753 -0.704
C -0.337 -1.259 1.004 -0.245
C -1.677 -1.116 0.233 -0.289
N -1.343 -0.687 -1.147 -0.257
H 1.621 -0.454 0.616 0.485
H 0.393 0.179 -0.204 0.442
H 0.465 0.685 1.329 0.502
H 0.097 -2.199 0.774 0.268
H -0.678 -1.358 2.055 0.284
H -2.362 -1.891 0.316 0.311
H -2.262 -0.245 0.566 0.240
H -1.438 -1.380 -1.857 0.425
H -2.050 0.171 -1.405 0.468
H 1.107 -1.925 -2.427 0.459
H 2.610 -1.770 -2.190 0.501
O 1.850 -2.114 -1.708 -0.932
H -0.873 2.585 2.118 0.474
H 0.229 3.250 1.382 0.483
O 0.158 2.683 2.123 -0.928
H 0.921 2.227 -1.469 0.495
H 1.864 2.658 -0.352 0.518
O 1.050 2.153 -0.512 -0.999
```

Results
- net charge = +2
- relative energy (zero: lowest compared OMol25 entry of this formula, charge and spin) (kJ/mol) = 205.9
- orbital gap (alpha / beta) (eV) = 10.605 / 4.546
- LUMO level (alpha / beta) (eV) = -7.9 / -14.0
- 2S+1 = 2
- maximum force (eV/Å) = 5.80



[2]
This record from the Open Molecules 2025 dataset describes a cluster of 5 separate species, C2H15NO4 in total in a non-equilibrium geometry. The level of theory is ωB97M-V with the def2-TZVPD basis set.

```
22
Properties=species:S:1:pos:R:3:nbo_charge:R:1
C 1.245 1.002 1.755 -0.679
C 1.441 1.651 0.397 -0.309
N 0.505 0.956 -0.427 -0.874
H 1.534 1.583 2.626 0.192
H 0.107 0.778 1.852 0.215
H 1.799 0.080 1.788 0.198
H 1.089 2.672 0.482 0.150
H 2.397 1.670 0.023 0.171
H 0.773 1.137 -1.471 0.351
H 0.567 -0.018 -0.236 0.362
H 2.933 3.557 -2.872 0.433
H 1.746 3.626 -1.967 0.454
O 2.305 3.001 -2.441 -1.019
H -3.052 -2.894 -0.338 0.493
H -2.953 -3.802 -1.685 0.405
O -2.560 -3.672 -0.819 -1.189
H -1.103 -3.073 0.135 0.494
H 0.116 -2.942 1.093 0.397
O -0.638 -2.400 0.732 -1.155
H -3.068 -0.617 -0.128 0.438
H -2.103 -1.093 0.902 0.501
O -3.080 -1.201 0.603 -1.029
```

Results
- net charge = -1
- relative energy (zero: lowest compared OMol25 entry of this formula, charge and spin) (kJ/mol) = 92.1
- orbital gap (alpha / beta) (eV) = 1.790 / 9.373
- LUMO level (alpha / beta) (eV) = 3.0 / 3.4
- 2S+1 = 2
- maximum force (eV/Å) = 4.15

~~~~~

Molecular formula: C42H117N3O30
Method: DFT, the ωB97M-V functional and the def2-TZVPD basis

```
192
Properties=species:S:1:pos:R:3:lowdin_charge:R:1
N -13.41 -0.89 9.60 -0.05
C -17.78 2.24 12.06 -0.25
H -23.24 0.02 14.32 0.10
H -18.68 -0.95 16.38 0.12
H -21.50 2.47 11.56 0.02
H -20.65 1.08 17.98 0.05
H -14.72 1.53 15.47 0.11
O -22.54 -1.66 7.81 -0.25
H -12.94 -3.59 12.74 0.06
O -21.67 2.41 12.50 -0.14
H -24.93 -2.80 3.93 0.10
O -15.10 -4.32 12.95 -0.08
O -14.62 -0.14 19.53 -0.06
C -16.85 -0.54 19.60 -0.22
H -17.25 1.63 12.79 0.09
H -20.15 -4.27 12.79 0.09
H -15.36 -4.77 14.75 0.02
H -21.16 0.64 13.16 0.08
H -16.00 -3.34 16.08 0.10
H -21.47 2.28 21.18 0.10
H -12.42 -5.52 13.89 0.12
C -12.21 -3.40 6.81 -0.09
C -23.81 -1.67 5.77 -0.20
H -21.90 -2.37 13.26 0.11
C -12.94 2.50 12.07 -0.16
O -23.41 -3.57 13.08 -0.07
H -18.94 -4.52 10.78 0.08
C -18.49 -4.30 21.96 -0.21
C -25.51 -1.88 3.97 -0.16
C -18.40 -3.58 10.72 -0.09
C -22.04 -3.30 12.71 -0.22
H -21.73 -3.43 19.86 0.01
H -23.95 -1.07 2.61 0.11
C -22.06 1.10 12.76 -0.27
H -16.61 -3.78 21.99 0.10
H -13.74 -1.33 7.08 0.12
H -25.76 -1.71 6.01 0.10
H -14.77 -6.34 13.26 0.11
H -17.89 -0.96 11.85 0.10
H -22.39 2.97 18.76 0.11
H -18.30 0.23 14.34 0.13
H -18.69 -4.84 22.89 0.12
H -16.77 -5.20 7.51 0.09
H -15.10 -3.65 18.08 0.10
H -11.72 0.41 11.14 0.13
O -21.15 -4.51 14.68 -0.08
H -12.91 -3.96 6.20 0.08
H -23.64 -2.74 5.90 0.12
C -14.10 -2.23 7.58 -0.19
H -25.08 0.08 3.24 0.12
H -18.75 -5.88 14.11 0.06
H -23.18 -1.23 5.00 0.11
H -19.02 -8.30 15.17 0.11
H -17.40 -4.24 19.60 0.01
C -21.88 2.02 18.91 -0.20
O -17.70 -3.16 11.89 -0.21
H -16.68 1.05 20.82 0.09
H -18.25 -4.65 5.65 0.11
H -21.86 -2.26 16.69 0.10
H -20.29 -5.07 21.30 0.12
********

== To do ==
Now return the lines earlier on up to the one that holds "~~~~~", that line included.

== Outcome ==
[1]
This record from the Open Molecules 2025 dataset describes a cluster of 4 separate species, C2H15N2O3 in total in a non-equilibrium geometry. The level of theory is ωB97M-V with the def2-TZVPD basis set.

```
22
Properties=species:S:1:pos:R:3:nbo_charge:R:1
N 0.655 -0.196 0.753 -0.704
C -0.337 -1.259 1.004 -0.245
C -1.677 -1.116 0.233 -0.289
N -1.343 -0.687 -1.147 -0.257
H 1.621 -0.454 0.616 0.485
H 0.393 0.179 -0.204 0.442
H 0.465 0.685 1.329 0.502
H 0.097 -2.199 0.774 0.268
H -0.678 -1.358 2.055 0.284
H -2.362 -1.891 0.316 0.311
H -2.262 -0.245 0.566 0.240
H -1.438 -1.380 -1.857 0.425
H -2.050 0.171 -1.405 0.468
H 1.107 -1.925 -2.427 0.459
H 2.610 -1.770 -2.190 0.501
O 1.850 -2.114 -1.708 -0.932
H -0.873 2.585 2.118 0.474
H 0.229 3.250 1.382 0.483
O 0.158 2.683 2.123 -0.928
H 0.921 2.227 -1.469 0.495
H 1.864 2.658 -0.352 0.518
O 1.050 2.153 -0.512 -0.999
```

Results
- net charge = +2
- relative energy (zero: lowest compared OMol25 entry of this formula, charge and spin) (kJ/mol) = 205.9
- orbital gap (alpha / beta) (eV) = 10.605 / 4.546
- LUMO level (alpha / beta) (eV) = -7.9 / -14.0
- 2S+1 = 2
- maximum force (eV/Å) = 5.80



[2]
This record from the Open Molecules 2025 dataset describes a cluster of 5 separate species, C2H15NO4 in total in a non-equilibrium geometry. The level of theory is ωB97M-V with the def2-TZVPD basis set.

```
22
Properties=species:S:1:pos:R:3:nbo_charge:R:1
C 1.245 1.002 1.755 -0.679
C 1.441 1.651 0.397 -0.309
N 0.505 0.956 -0.427 -0.874
H 1.534 1.583 2.626 0.192
H 0.107 0.778 1.852 0.215
H 1.799 0.080 1.788 0.198
H 1.089 2.672 0.482 0.150
H 2.397 1.670 0.023 0.171
H 0.773 1.137 -1.471 0.351
H 0.567 -0.018 -0.236 0.362
H 2.933 3.557 -2.872 0.433
H 1.746 3.626 -1.967 0.454
O 2.305 3.001 -2.441 -1.019
H -3.052 -2.894 -0.338 0.493
H -2.953 -3.802 -1.685 0.405
O -2.560 -3.672 -0.819 -1.189
H -1.103 -3.073 0.135 0.494
H 0.116 -2.942 1.093 0.397
O -0.638 -2.400 0.732 -1.155
H -3.068 -0.617 -0.128 0.438
H -2.103 -1.093 0.902 0.501
O -3.080 -1.201 0.603 -1.029
```

Results
- net charge = -1
- relative energy (zero: lowest compared OMol25 entry of this formula, charge and spin) (kJ/mol) = 92.1
- orbital gap (alpha / beta) (eV) = 1.790 / 9.373
- LUMO level (alpha / beta) (eV) = 3.0 / 3.4
- 2S+1 = 2
- maximum force (eV/Å) = 4.15

~~~~~